### Brief
Next, type out everything below word for word.

### Given
=====
Record 1
Theoretical PXRD pattern of Cs2Rb2Hg3 for copper Kα, from a structure optimized by DFT (GGA-PBE).
Peak positions follow from Bragg's law for the DFT cell and can differ from measured ones.

Atomic structure:
```
data_Cs2Rb2Hg3
_cell_length_a 20.3195
_cell_length_b 5.3977
_cell_length_c 7.2577
_cell_angle_alpha 90.00
_cell_angle_beta 101.50
_cell_angle_gamma 90.00
_symmetry_space_group_name_H-M 'C 1 2/m 1'
_symmetry_Int_Tables_number 12
loop_
_symmetry_equiv_pos_as_xyz
'x,y,z'
'-x,-y,-z'
'-x,y,-z'
'x,-y,z'
'x+1/2,y+1/2,z'
'-x+1/2,-y+1/2,-z'
'-x+1/2,y+1/2,-z'
'x+1/2,-y+1/2,z'
loop_
_atom_site_label
_atom_site_type_symbol
_atom_site_fract_x
_atom_site_fract_y
_atom_site_fract_z
Cs1 Cs 0.1499 0.0000 0.0675
Rb1 Rb 0.1013 0.5000 0.5462
Hg1 Hg 0.0000 0.5000 0.0000
Hg2 Hg 0.2337 0.0000 0.5991
```

Largest 12 diffraction maxima, most intense first, 2θ = 5–70°:
(hkl)	Position (°2θ)	I/Imax
5 1 -1	28.66	100
3 1 1	26.02	85
3 1 0	21.22	77
3 1 -2	30.87	65
2 0 -1	13.78	61
1 1 2	31.18	53
0 2 0	33.20	52
6 0 1	31.95	49
2 0 0	8.88	47
5 1 -3	43.70	46
0 0 2	25.04	41
2 0 1	16.70	37

---

Record 2
Theoretical PXRD pattern of CaPrCo4 for copper Kα, from a structure optimized by DFT (GGA-PBE).
Peak positions follow from Bragg's law for the DFT cell and can differ from measured ones.

Atomic structure:
```
data_CaPrCo4
_cell_length_a 7.3041
_cell_length_b 7.3041
_cell_length_c 7.3041
_cell_angle_alpha 90.00
_cell_angle_beta 90.00
_cell_angle_gamma 90.00
_symmetry_space_group_name_H-M 'F -4 3 m'
_symmetry_Int_Tables_number 216
_symmetry_space_group_name_Hall 'F -4 2 3'
loop_
_atom_site_label
_atom_site_type_symbol
_atom_site_fract_x
_atom_site_fract_y
_atom_site_fract_z
Ca1 Ca 0.0000 0.0000 0.0000
Pr1 Pr 0.2500 0.2500 0.2500
Co1 Co 0.1250 0.1250 0.6250
```

Largest 10 diffraction maxima, most intense first, 2θ = 5–70°:
(hkl)	Position (°2θ)	I/Imax
3 1 1	40.98	100
2 2 0	34.74	39
2 2 2	42.89	30
5 1 1	66.52	30
2 0 0	24.37	14
4 2 2	62.27	14
1 1 1	21.07	13
4 2 0	56.33	6
3 3 1	54.78	3
4 0 0	49.95	1

---

Record 3
Theoretical PXRD pattern of Pm3HoEr2S6 for copper Kα, from a structure optimized by DFT (GGA-PBE).
Peak positions follow from Bragg's law for the DFT cell and can differ from measured ones.

Atomic structure:
```
data_Pm3HoEr2S6
_cell_length_a 6.7893
_cell_length_b 11.8012
_cell_length_c 6.9217
_cell_angle_alpha 90.00
_cell_angle_beta 109.15
_cell_angle_gamma 90.00
_symmetry_space_group_name_H-M 'C 1 2/m 1'
_symmetry_Int_Tables_number 12
loop_
_symmetry_equiv_pos_as_xyz
'x,y,z'
'-x,-y,-z'
'-x,y,-z'
'x,-y,z'
'x+1/2,y+1/2,z'
'-x+1/2,-y+1/2,-z'
'-x+1/2,y+1/2,-z'
'x+1/2,-y+1/2,z'
loop_
_atom_site_label
_atom_site_type_symbol
_atom_site_fract_x
_atom_site_fract_y
_atom_site_fract_z
Pm1 Pm 0.0000 0.0000 0.0000
Pm2 Pm 0.0000 0.3339 0.0000
Ho1 Ho 0.0000 0.5000 0.5000
Er1 Er 0.0000 0.1666 0.5000
S1 S 0.2434 0.0000 0.7341
S2 S 0.2453 0.3327 0.7345
```

Largest 12 diffraction maxima, most intense first, 2θ = 5–70°:
(hkl)	Position (°2θ)	I/Imax
1 3 1	32.03	100
2 0 0	27.77	60
2 0 2	45.61	37
3 3 -1	46.28	24
0 0 2	27.28	21
0 6 2	54.49	13
2 6 -2	57.29	12
0 6 0	46.15	12
2 6 2	66.97	11
1 3 3	53.96	10
3 3 1	54.58	7
2 6 0	54.75	6

=====

1.
Nd4Ru2Pb: simulated powder X-ray diffraction pattern (a wavelength of 1.5418 Å), based on DFT lattice parameters and positions (GGA-PBE).
No peak broadening, texture or thermal motion is included.

Principal peaks in the range 10 to 90 degrees two-theta, low angle first:
d (Å)  Rel. int.
3.038  371
2.942  398
2.924  462
2.810  323
2.790  570
2.782  529
2.731  481
2.693  447
2.658  815
2.615  1000

Crystal structure
```
Nd4Ru2Pb
1.0
7.254 0.000 0.000
-1.521 7.152 0.000
-2.130 -2.931 7.276
Nd Ru Pb
8 4 2
Cartesian
0.000 0.000 0.000 Nd
-1.107 3.673 1.412 Nd
-0.374 0.174 6.040 Nd
1.537 -0.500 3.139 Nd
0.756 3.216 4.855 Nd
3.867 0.654 0.685 Nd
5.241 -1.300 3.267 Nd
4.392 2.267 4.439 Nd
-0.712 1.209 2.920 Ru
-1.516 4.723 5.159 Ru
1.043 5.506 0.456 Ru
1.827 1.889 7.081 Ru
2.268 3.255 1.935 Pb
3.261 -0.422 5.826 Pb
```

---

2.
=====

### Reply
Record 1
Theoretical PXRD pattern of Cs2Rb2Hg3 for copper Kα, from a structure optimized by DFT (GGA-PBE).
Peak positions follow from Bragg's law for the DFT cell and can differ from measured ones.

Atomic structure:
```
data_Cs2Rb2Hg3
_cell_length_a 20.3195
_cell_length_b 5.3977
_cell_length_c 7.2577
_cell_angle_alpha 90.00
_cell_angle_beta 101.50
_cell_angle_gamma 90.00
_symmetry_space_group_name_H-M 'C 1 2/m 1'
_symmetry_Int_Tables_number 12
loop_
_symmetry_equiv_pos_as_xyz
'x,y,z'
'-x,-y,-z'
'-x,y,-z'
'x,-y,z'
'x+1/2,y+1/2,z'
'-x+1/2,-y+1/2,-z'
'-x+1/2,y+1/2,-z'
'x+1/2,-y+1/2,z'
loop_
_atom_site_label
_atom_site_type_symbol
_atom_site_fract_x
_atom_site_fract_y
_atom_site_fract_z
Cs1 Cs 0.1499 0.0000 0.0675
Rb1 Rb 0.1013 0.5000 0.5462
Hg1 Hg 0.0000 0.5000 0.0000
Hg2 Hg 0.2337 0.0000 0.5991
```

Largest 12 diffraction maxima, most intense first, 2θ = 5–70°:
(hkl)	Position (°2θ)	I/Imax
5 1 -1	28.66	100
3 1 1	26.02	85
3 1 0	21.22	77
3 1 -2	30.87	65
2 0 -1	13.78	61
1 1 2	31.18	53
0 2 0	33.20	52
6 0 1	31.95	49
2 0 0	8.88	47
5 1 -3	43.70	46
0 0 2	25.04	41
2 0 1	16.70	37

---

Record 2
Theoretical PXRD pattern of CaPrCo4 for copper Kα, from a structure optimized by DFT (GGA-PBE).
Peak positions follow from Bragg's law for the DFT cell and can differ from measured ones.

Atomic structure:
```
data_CaPrCo4
_cell_length_a 7.3041
_cell_length_b 7.3041
_cell_length_c 7.3041
_cell_angle_alpha 90.00
_cell_angle_beta 90.00
_cell_angle_gamma 90.00
_symmetry_space_group_name_H-M 'F -4 3 m'
_symmetry_Int_Tables_number 216
_symmetry_space_group_name_Hall 'F -4 2 3'
loop_
_atom_site_label
_atom_site_type_symbol
_atom_site_fract_x
_atom_site_fract_y
_atom_site_fract_z
Ca1 Ca 0.0000 0.0000 0.0000
Pr1 Pr 0.2500 0.2500 0.2500
Co1 Co 0.1250 0.1250 0.6250
```

Largest 10 diffraction maxima, most intense first, 2θ = 5–70°:
(hkl)	Position (°2θ)	I/Imax
3 1 1	40.98	100
2 2 0	34.74	39
2 2 2	42.89	30
5 1 1	66.52	30
2 0 0	24.37	14
4 2 2	62.27	14
1 1 1	21.07	13
4 2 0	56.33	6
3 3 1	54.78	3
4 0 0	49.95	1

---

Record 3
Theoretical PXRD pattern of Pm3HoEr2S6 for copper Kα, from a structure optimized by DFT (GGA-PBE).
Peak positions follow from Bragg's law for the DFT cell and can differ from measured ones.

Atomic structure:
```
data_Pm3HoEr2S6
_cell_length_a 6.7893
_cell_length_b 11.8012
_cell_length_c 6.9217
_cell_angle_alpha 90.00
_cell_angle_beta 109.15
_cell_angle_gamma 90.00
_symmetry_space_group_name_H-M 'C 1 2/m 1'
_symmetry_Int_Tables_number 12
loop_
_symmetry_equiv_pos_as_xyz
'x,y,z'
'-x,-y,-z'
'-x,y,-z'
'x,-y,z'
'x+1/2,y+1/2,z'
'-x+1/2,-y+1/2,-z'
'-x+1/2,y+1/2,-z'
'x+1/2,-y+1/2,z'
loop_
_atom_site_label
_atom_site_type_symbol
_atom_site_fract_x
_atom_site_fract_y
_atom_site_fract_z
Pm1 Pm 0.0000 0.0000 0.0000
Pm2 Pm 0.0000 0.3339 0.0000
Ho1 Ho 0.0000 0.5000 0.5000
Er1 Er 0.0000 0.1666 0.5000
S1 S 0.2434 0.0000 0.7341
S2 S 0.2453 0.3327 0.7345
```

Largest 12 diffraction maxima, most intense first, 2θ = 5–70°:
(hkl)	Position (°2θ)	I/Imax
1 3 1	32.03	100
2 0 0	27.77	60
2 0 2	45.61	37
3 3 -1	46.28	24
0 0 2	27.28	21
0 6 2	54.49	13
2 6 -2	57.29	12
0 6 0	46.15	12
2 6 2	66.97	11
1 3 3	53.96	10
3 3 1	54.58	7
2 6 0	54.75	6

=====

1.
Nd4Ru2Pb: simulated powder X-ray diffraction pattern (a wavelength of 1.5418 Å), based on DFT lattice parameters and positions (GGA-PBE).
No peak broadening, texture or thermal motion is included.

Principal peaks in the range 10 to 90 degrees two-theta, low angle first:
d (Å)  Rel. int.
3.038  371
2.942  398
2.924  462
2.810  323
2.790  570
2.782  529
2.731  481
2.693  447
2.658  815
2.615  1000

Crystal structure
```
Nd4Ru2Pb
1.0
7.254 0.000 0.000
-1.521 7.152 0.000
-2.130 -2.931 7.276
Nd Ru Pb
8 4 2
Cartesian
0.000 0.000 0.000 Nd
-1.107 3.673 1.412 Nd
-0.374 0.174 6.040 Nd
1.537 -0.500 3.139 Nd
0.756 3.216 4.855 Nd
3.867 0.654 0.685 Nd
5.241 -1.300 3.267 Nd
4.392 2.267 4.439 Nd
-0.712 1.209 2.920 Ru
-1.516 4.723 5.159 Ru
1.043 5.506 0.456 Ru
1.827 1.889 7.081 Ru
2.268 3.255 1.935 Pb
3.261 -0.422 5.826 Pb
```

---

2.